== Listing ==
Entry 1:
{"formula": "C32H29BrCl3CuGeN4O2S", "method": "ωB97M-V/def2-TZVPD", "charge": 0, "largest_force_ev_per_a": 0.44, "homo_lumo_gap_ev": 6.9, "lumo_energy_ev": -1.37, "total_energy_ev": -263315.535, "mol_weight_g_mol": 856.10, "homo_ev": -8.258, "elements": ["Cu", "C", "C", "C", "C", "C", "C", "C", "N", "C", "N", "C", "C", "C", "C", "C", "C", "C", "N", "C", "C", "C", "C", "C", "C", "C", "H", "H", "H", "H", "H", "H", "H", "H", "H", "H", "H", "H", "H", "H", "H", "H", "H", "H", "H", "H", "H", "H", "S", "C", "C", "N", "C", "H", "H", "H", "Cl", "Ge", "Cl", "Cl", "Br", "C", "C", "C", "C", "C", "C", "C", "O", "O", "H", "H", "H", "H"], "positions_angstrom": [[-0.9457, -0.3384, 1.3922], [0.5284, 1.6893, -4.5932], [1.6480, 2.3657, -3.8568], [2.7260, 2.9195, -4.5340], [3.7716, 3.5324, -3.8582], [3.7348, 3.6185, -2.4769], [2.6591, 3.0929, -1.7768], [1.6325, 2.4533, -2.4590], [0.5124, 1.9125, -1.7864], [0.4876, 1.2285, -0.6063], [1.6677, 0.7248, -0.2016], [1.9301, -0.0117, 0.9626], [0.9368, -0.5695, 1.7343], [1.2596, -1.3224, 2.8514], [2.5860, -1.5106, 3.1970], [3.5887, -0.9481, 2.4199], [3.2846, -0.1939, 1.3008], [4.3779, 0.4032, 0.4582], [-0.6321, 1.0532, 0.0472], [-1.7726, 1.6745, -0.5685], [-2.1497, 2.9531, -0.1797], [-3.2069, 3.5846, -0.8107], [-3.8777, 2.9328, -1.8364], [-3.4832, 1.6654, -2.2294], [-2.4187, 1.0101, -1.6136], [-1.9685, -0.3490, -2.0611], [0.7452, 1.6416, -5.6584], [-0.4202, 2.2208, -4.4786], [0.3720, 0.6730, -4.2275], [2.7477, 2.8572, -5.6145], [4.6041, 3.9453, -4.4105], [4.5325, 4.1100, -1.9371], [2.6107, 3.2013, -0.7012], [-0.3975, 2.1281, -2.1673], [2.4343, 0.8315, -0.8452], [0.4791, -1.7875, 3.4364], [2.8389, -2.1037, 4.0658], [4.6280, -1.0971, 2.6828], [5.3505, 0.1725, 0.8877], [4.2951, 1.4898, 0.3892], [4.3784, 0.0085, -0.5621], [-1.6175, 3.4351, 0.6296], [-3.5138, 4.5716, -0.4948], [-4.7120, 3.4125, -2.3302], [-4.0121, 1.1584, -3.0262], [-2.5311, -0.6654, -2.9378], [-2.1244, -1.0975, -1.2812], [-0.9026, -0.3749, -2.2976], [-1.3022, 1.1235, 5.8347], [-0.8416, 2.4085, 4.8051], [-0.7637, 1.9667, 3.5279], [-1.0567, 0.6400, 3.3620], [-1.3498, 0.0769, 4.4992], [-0.6638, 3.4019, 5.1754], [-0.5032, 2.5562, 2.6633], [-1.6268, -0.9608, 4.5862], [-4.9214, -0.5450, 0.1452], [-3.3939, -0.1512, 1.6551], [-4.0994, -1.4540, 3.2669], [-4.0334, 1.8047, 2.4310], [-3.6347, -4.0505, 0.6071], [-2.0250, -5.0246, 0.7378], [-2.1021, -6.4101, 0.7862], [-0.9430, -7.1667, 0.7974], [0.2946, -6.5420, 0.7290], [0.3585, -5.1616, 0.6639], [-0.7977, -4.3829, 0.6926], [-0.5959, -2.8885, 0.6561], [0.0569, -2.3906, -0.2491], [-1.1510, -2.2387, 1.6314], [-3.0713, -6.8875, 0.8047], [-1.0113, -8.2452, 0.8427], [1.2045, -7.1268, 0.7200], [1.3109, -4.6536, 0.5920]], "lowdin_charge": [0.333, -0.030, -0.203, -0.039, -0.080, -0.080, -0.037, -0.194, 0.157, -0.329, 0.171, -0.178, -0.080, -0.086, -0.066, -0.047, -0.204, -0.039, 0.079, -0.315, -0.060, -0.080, -0.073, -0.058, -0.273, -0.027, 0.080, 0.088, 0.082, 0.113, 0.104, 0.105, 0.116, 0.131, 0.118, 0.101, 0.105, 0.110, 0.080, 0.077, 0.090, 0.107, 0.106, 0.105, 0.115, 0.089, 0.060, 0.073, 1.054, -0.376, -0.244, -0.103, -0.498, 0.070, 0.104, 0.064, 0.107, -0.134, 0.097, 0.111, 0.795, -0.603, -0.129, -0.086, -0.079, -0.021, -0.163, -0.611, 0.066, -0.159, 0.096, 0.103, 0.102, 0.120]}

***

Entry 2:
== To do ==
Your job: return only the last part of the data above, starting with the line that has "Entry 1:".
== Result ==
Entry 1:
{"formula": "C32H29BrCl3CuGeN4O2S", "method": "ωB97M-V/def2-TZVPD", "charge": 0, "largest_force_ev_per_a": 0.44, "homo_lumo_gap_ev": 6.9, "lumo_energy_ev": -1.37, "total_energy_ev": -263315.535, "mol_weight_g_mol": 856.10, "homo_ev": -8.258, "elements": ["Cu", "C", "C", "C", "C", "C", "C", "C", "N", "C", "N", "C", "C", "C", "C", "C", "C", "C", "N", "C", "C", "C", "C", "C", "C", "C", "H", "H", "H", "H", "H", "H", "H", "H", "H", "H", "H", "H", "H", "H", "H", "H", "H", "H", "H", "H", "H", "H", "S", "C", "C", "N", "C", "H", "H", "H", "Cl", "Ge", "Cl", "Cl", "Br", "C", "C", "C", "C", "C", "C", "C", "O", "O", "H", "H", "H", "H"], "positions_angstrom": [[-0.9457, -0.3384, 1.3922], [0.5284, 1.6893, -4.5932], [1.6480, 2.3657, -3.8568], [2.7260, 2.9195, -4.5340], [3.7716, 3.5324, -3.8582], [3.7348, 3.6185, -2.4769], [2.6591, 3.0929, -1.7768], [1.6325, 2.4533, -2.4590], [0.5124, 1.9125, -1.7864], [0.4876, 1.2285, -0.6063], [1.6677, 0.7248, -0.2016], [1.9301, -0.0117, 0.9626], [0.9368, -0.5695, 1.7343], [1.2596, -1.3224, 2.8514], [2.5860, -1.5106, 3.1970], [3.5887, -0.9481, 2.4199], [3.2846, -0.1939, 1.3008], [4.3779, 0.4032, 0.4582], [-0.6321, 1.0532, 0.0472], [-1.7726, 1.6745, -0.5685], [-2.1497, 2.9531, -0.1797], [-3.2069, 3.5846, -0.8107], [-3.8777, 2.9328, -1.8364], [-3.4832, 1.6654, -2.2294], [-2.4187, 1.0101, -1.6136], [-1.9685, -0.3490, -2.0611], [0.7452, 1.6416, -5.6584], [-0.4202, 2.2208, -4.4786], [0.3720, 0.6730, -4.2275], [2.7477, 2.8572, -5.6145], [4.6041, 3.9453, -4.4105], [4.5325, 4.1100, -1.9371], [2.6107, 3.2013, -0.7012], [-0.3975, 2.1281, -2.1673], [2.4343, 0.8315, -0.8452], [0.4791, -1.7875, 3.4364], [2.8389, -2.1037, 4.0658], [4.6280, -1.0971, 2.6828], [5.3505, 0.1725, 0.8877], [4.2951, 1.4898, 0.3892], [4.3784, 0.0085, -0.5621], [-1.6175, 3.4351, 0.6296], [-3.5138, 4.5716, -0.4948], [-4.7120, 3.4125, -2.3302], [-4.0121, 1.1584, -3.0262], [-2.5311, -0.6654, -2.9378], [-2.1244, -1.0975, -1.2812], [-0.9026, -0.3749, -2.2976], [-1.3022, 1.1235, 5.8347], [-0.8416, 2.4085, 4.8051], [-0.7637, 1.9667, 3.5279], [-1.0567, 0.6400, 3.3620], [-1.3498, 0.0769, 4.4992], [-0.6638, 3.4019, 5.1754], [-0.5032, 2.5562, 2.6633], [-1.6268, -0.9608, 4.5862], [-4.9214, -0.5450, 0.1452], [-3.3939, -0.1512, 1.6551], [-4.0994, -1.4540, 3.2669], [-4.0334, 1.8047, 2.4310], [-3.6347, -4.0505, 0.6071], [-2.0250, -5.0246, 0.7378], [-2.1021, -6.4101, 0.7862], [-0.9430, -7.1667, 0.7974], [0.2946, -6.5420, 0.7290], [0.3585, -5.1616, 0.6639], [-0.7977, -4.3829, 0.6926], [-0.5959, -2.8885, 0.6561], [0.0569, -2.3906, -0.2491], [-1.1510, -2.2387, 1.6314], [-3.0713, -6.8875, 0.8047], [-1.0113, -8.2452, 0.8427], [1.2045, -7.1268, 0.7200], [1.3109, -4.6536, 0.5920]], "lowdin_charge": [0.333, -0.030, -0.203, -0.039, -0.080, -0.080, -0.037, -0.194, 0.157, -0.329, 0.171, -0.178, -0.080, -0.086, -0.066, -0.047, -0.204, -0.039, 0.079, -0.315, -0.060, -0.080, -0.073, -0.058, -0.273, -0.027, 0.080, 0.088, 0.082, 0.113, 0.104, 0.105, 0.116, 0.131, 0.118, 0.101, 0.105, 0.110, 0.080, 0.077, 0.090, 0.107, 0.106, 0.105, 0.115, 0.089, 0.060, 0.073, 1.054, -0.376, -0.244, -0.103, -0.498, 0.070, 0.104, 0.064, 0.107, -0.134, 0.097, 0.111, 0.795, -0.603, -0.129, -0.086, -0.079, -0.021, -0.163, -0.611, 0.066, -0.159, 0.096, 0.103, 0.102, 0.120]}

***

Entry 2: